Given:
-- begin --
Entry 1:
Density functional theory data (ωB97M-V/def2-TZVPD) for a single C2H6N2O2 molecule in a non-equilibrium geometry.

Geometry as XYZ:
```
12
C2H6N2O2 ωB97M-V/def2-TZVPD
C -1.224 0.366 -0.293
C 0.134 0.411 0.387
N 1.103 1.088 -0.458
O 1.791 1.936 0.076
N 0.685 -0.933 0.578
O 0.642 -1.749 -0.574
H -1.658 1.362 -0.303
H -1.110 0.026 -1.319
H -1.887 -0.302 0.251
H 0.075 0.851 1.395
H 1.673 -0.878 0.822
H -0.225 -2.179 -0.562
```

Computed properties:
- HOMO (eV) = -8.9184
- SMILES string = C[C@H](N=O)NO
- strongest force on any atom (Eh/bohr) = 0.037
- frontier orbital gap (eV) = 8.91
- energy relative to the best compared isomer or geometry (same formula, charge and spin) (eV) = 5.001

Atom charges from the natural (NBO) analysis, given in e for atoms 1 to 5:
1 C -0.6322
2 C -0.0226
3 N 0.1283
4 O -0.2858
5 N -0.3187

Entry 2:
Density functional theory data (ωB97M-V/def2-TZVPD) for 2 unconnected molecules or ions with the total composition C2H6N2O2 in a non-equilibrium geometry.

Geometry as XYZ:
```
12
C2H6N2O2 ωB97M-V/def2-TZVPD
N 2.382 -0.349 -0.083
C 1.110 -0.032 -0.237
N 0.130 -0.842 -0.498
H 2.618 -1.322 0.074
H 3.099 0.357 -0.034
H 0.892 1.031 -0.198
H -0.910 -0.509 -0.434
H 0.375 -1.820 -0.551
O -1.490 1.231 1.257
C -2.430 0.870 0.485
O -2.373 0.000 -0.386
H -3.403 1.387 0.605
```

Computed properties:
- multiplicity = 2
- total charge = +1
- HOMO (spin up / spin down) (eV) = -15.7319 / -15.7111
- strongest force on any atom (Eh/bohr) = 0.048
- ⟨S²⟩ = 0.7545
- frontier orbital gap (spin up / spin down) (eV) = 12.41 / 7.52
- energy relative to the best compared isomer or geometry (same formula, charge and spin) (eV) = 0.000

Atom charges from the natural (NBO) analysis, given in e for atoms 1 to 5:
1 N -0.7219
2 C 0.3920
3 N -0.7111
4 H 0.4207
5 H 0.4417

Entry 3:
Density functional theory data (ωB97M-V/def2-TZVPD) for a single C2H6N2O3 molecule in a non-equilibrium geometry.

Geometry as XYZ:
```
13
C2H6N2O3 ωB97M-V/def2-TZVPD
C 0.443 2.301 0.106
C -0.187 -0.999 -0.074
N -0.033 1.392 0.819
N 0.730 -0.075 0.683
O -0.185 -0.596 -1.375
O 0.174 -2.326 -0.120
O -1.430 -1.071 0.529
H 0.200 3.313 0.308
H 1.323 2.281 -0.479
H 1.377 0.059 0.005
H -0.563 -1.401 -1.860
H -0.264 -2.762 0.611
H -1.585 -0.115 0.847
```

Computed properties:
- multiplicity = 3
- HOMO (spin up / spin down) (eV) = -6.3611 / -10.5140
- strongest force on any atom (Eh/bohr) = 0.291
- ⟨S²⟩ = 2.0080
- frontier orbital gap (spin up / spin down) (eV) = 7.06 / 6.84
- energy relative to the best compared isomer or geometry (same formula, charge and spin) (eV) = 3.370

Atom charges from the natural (NBO) analysis, given in e for atoms 1 to 5:
1 C -0.2275
2 C 0.8209
3 N -0.2370
4 N -0.3694
5 O -0.7098

Entry 4:
Density functional theory data (ωB97M-V/def2-TZVPD) for a gas-phase ion, C2H6N2O3P (charge -1) in a non-equilibrium geometry.

Geometry as XYZ:
```
14
C2H6N2O3P ωB97M-V/def2-TZVPD
N 0.093 -2.042 -0.709
P -0.866 -0.920 0.032
O -2.161 -1.784 0.823
O -1.508 0.069 -1.248
N 0.080 -0.066 1.268
C 0.573 1.286 0.825
C 2.192 1.249 0.406
O 2.702 2.441 0.024
H 0.120 -1.867 -1.740
H -2.862 -2.003 0.133
H -1.645 -0.440 -2.102
H -0.081 1.832 0.024
H 0.542 1.985 1.793
H 2.822 0.261 0.471
```

Computed properties:
- total charge = -1
- HOMO (eV) = -3.1943
- SMILES string = N=P(O)(O)[N-]CC=O
- strongest force on any atom (Eh/bohr) = 0.147
- frontier orbital gap (eV) = 6.62
- energy relative to the best compared isomer or geometry (same formula, charge and spin) (eV) = 5.538

Atom charges from the natural (NBO) analysis, given in e for atoms 1 to 5:
1 N -1.4066
2 P 2.1770
3 O -0.9834
4 O -1.0300
5 N -1.0566

Entry 5:
Density functional theory data (ωB97M-V/def2-TZVPD) for a gas-phase ion, C2H6N2O3P (charge -1) in a non-equilibrium geometry.

Geometry as XYZ:
```
14
C2H6N2O3P ωB97M-V/def2-TZVPD
N -2.224 0.312 0.145
P -0.763 -0.144 -0.693
O -1.222 -1.334 -1.789
N 0.131 -0.972 0.497
C 1.555 -0.505 0.415
C 1.602 1.023 0.665
O 0.966 1.465 1.658
O 2.222 1.700 -0.145
-- stop --
Wanted:
Repeat only the lines further above with the word "and" in them.
Response:
- energy relative to the best compared isomer or geometry (same formula, charge and spin) (eV) = 5.001
- energy relative to the best compared isomer or geometry (same formula, charge and spin) (eV) = 0.000
- energy relative to the best compared isomer or geometry (same formula, charge and spin) (eV) = 3.370
- energy relative to the best compared isomer or geometry (same formula, charge and spin) (eV) = 5.538